[Wanted]
Give back only the last part of the listing further below, starting with the line that has "O15 0.5767".

[Excerpt]
- - -
DFT (PBE) results for a relaxed structure of CuBr4N2O2.

Cell and atoms, written as POSCAR:
```
CuBr4N2O2
1.0
-5.470 -0.772 7.347
-6.947 -2.570 -5.442
1.683 -5.892 0.634
Cu N Br O
2 4 8 4
Direct
0.500 0.500 0.500 Cu
0.000 0.000 0.000 Cu
0.000 0.500 0.250 N
0.000 0.500 0.750 N
0.500 0.000 0.250 N
0.500 0.000 0.750 N
0.870 0.870 0.500 Br
0.681 0.319 0.500 Br
0.130 0.130 0.500 Br
0.319 0.681 0.500 Br
0.630 0.370 0.000 Br
0.370 0.630 0.000 Br
0.181 0.181 0.000 Br
0.819 0.819 0.000 Br
0.000 0.000 0.699 O
0.000 0.000 0.301 O
0.500 0.500 0.801 O
0.500 0.500 0.199 O
```

Total magnetization   5.91 μB per formula unit
Energy above the most stable polymorph in this dataset   0.021 eV/atom
Calculated formation energy   1.14 eV/atom

=====

Entry from Materials Project: crystalline Li3NiPCO7 at its relaxed geometry (PBE+U).

Unit cell a=9.4173 b=6.3036 c=9.6935 alpha=90.00 beta=114.73 gamma=90.00
Fractional positions:
Li1 0.1087 0.2428 0.4440
Li2 0.1087 0.2572 0.9440
Li3 0.2819 0.5013 0.2631
Li4 0.2819 0.9987 0.7631
Li5 0.3571 0.7500 0.0662
Li6 0.3571 0.7500 0.5662
Li7 0.6429 0.2500 0.4338
Li8 0.6429 0.2500 0.9338
Li9 0.7181 0.0013 0.2369
Li10 0.7181 0.4987 0.7369
Li11 0.8913 0.7428 0.0560
Li12 0.8913 0.7572 0.5560
Ni1 0.2675 0.0051 0.2607
Ni2 0.2675 0.4949 0.7607
Ni3 0.7325 0.5051 0.2393
Ni4 0.7325 0.9949 0.7393
P1 0.4073 0.2389 0.5654
P2 0.4073 0.2611 0.0654
P3 0.5927 0.7389 0.9346
P4 0.5927 0.7611 0.4346
C1 0.0403 0.7446 0.3692
C2 0.0403 0.7554 0.8692
C3 0.9597 0.2446 0.1308
C4 0.9597 0.2554 0.6308
O1 0.0649 0.7327 0.5081
O2 0.0649 0.7673 0.0081
O3 0.1037 0.2341 0.2389
O4 0.1037 0.2659 0.7389
O5 0.1540 0.7341 0.8280
O6 0.1540 0.7659 0.3280
O7 0.3071 0.0527 0.5760
O8 0.3071 0.4473 0.0760
O9 0.3174 0.0589 0.0759
O10 0.3174 0.4411 0.5759
O11 0.4135 0.2348 0.4066
O12 0.4135 0.2652 0.9066
O13 0.4233 0.7402 0.8105
O14 0.4233 0.7598 0.3105
O15 0.5767 0.2402 0.6895
O16 0.5767 0.2598 0.1895
O17 0.5865 0.7348 0.0934
O18 0.5865 0.7652 0.5934
O19 0.6826 0.5589 0.4241
O20 0.6826 0.9411 0.9241
O21 0.6929 0.5527 0.9240
O22 0.6929 0.9473 0.4240
O23 0.8460 0.2341 0.6720
O24 0.8460 0.2659 0.1720
O25 0.8963 0.7341 0.2611
O26 0.8963 0.7659 0.7611
O27 0.9351 0.2327 0.9919
O28 0.9351 0.2673 0.4919

total energy	-6.36	eV/atom
space-group type	No. 14
size of the total moment	2.000	μB per formula unit
formation energy	-2827	kJ/mol of formula units

=====

# Cs2NaPbF6 | the Materials Project | PBE-GGA | optimized geometry
data_Cs2NaPbF6
_space_group_name_H-M_alt 'P 1'
_space_group_IT_number 1
_cell_length_a 6.585
_cell_length_b 6.585
_cell_length_c 6.585
_cell_angle_alpha 60.00
_cell_angle_beta 60.00
_cell_angle_gamma 60.00
loop_
_space_group_symop_operation_xyz
'x,y,z'
loop_
_atom_site_label
_atom_site_fract_x
_atom_site_fract_y
_atom_site_fract_z
Cs1 0.250 0.250 0.250
Cs2 0.750 0.750 0.750
Na1 0.000 0.000 0.000
Pb1 0.500 0.500 0.500
F1 0.255 0.255 0.745
F2 0.255 0.745 0.255
F3 0.255 0.745 0.745
F4 0.745 0.255 0.255
F5 0.745 0.255 0.745
F6 0.745 0.745 0.255
# Symmetry: Fm-3m

---

# TiWC2 | the Materials Project | PBE-GGA | optimized geometry
data_TiWC2
_space_group_name_H-M_alt 'P 1'
_space_group_IT_number 1
_cell_length_a 5.357
_cell_length_b 5.357
_cell_length_c 5.357
_cell_angle_alpha 33.29
_cell_angle_beta 33.29
_cell_angle_gamma 33.29
loop_
_space_group_symop_operation_xyz
'x,y,z'
loop_
_atom_site_label
_atom_site_fract_x
_atom_site_fract_y
_atom_site_fract_z
Ti1 0.000 0.000 0.000
W1 0.500 0.500 0.500
C1 0.251 0.251 0.251
C2 0.749 0.749 0.749
# Symmetry: R-3m

---

Number 1: calculated total energy -43.3 eV/cell, magnetic moment 0.095 μB/atom. Number 2: calculated total energy -40.9 eV/cell, magnetic moment 0.000 μB/atom.

=====

First-principles (PBE) data for a geometry-optimized CsLi2Cl3 structure, as listed in the Materials Project.

Results
space group	Immm (71)
formation energy	-2161.6	meV/atom

a = 7.193 Å, b = 7.193 Å, c = 7.193 Å
α = 143.06°, β = 136.72°, γ = 58.18°
Positions (direct):
Cs  0.000  0.000  0.000
Li  0.309  0.309  0.000
- - -

[Written answer]
O15 0.5767 0.2402 0.6895
O16 0.5767 0.2598 0.1895
O17 0.5865 0.7348 0.0934
O18 0.5865 0.7652 0.5934
O19 0.6826 0.5589 0.4241
O20 0.6826 0.9411 0.9241
O21 0.6929 0.5527 0.9240
O22 0.6929 0.9473 0.4240
O23 0.8460 0.2341 0.6720
O24 0.8460 0.2659 0.1720
O25 0.8963 0.7341 0.2611
O26 0.8963 0.7659 0.7611
O27 0.9351 0.2327 0.9919
O28 0.9351 0.2673 0.4919

total energy	-6.36	eV/atom
space-group type	No. 14
size of the total moment	2.000	μB per formula unit
formation energy	-2827	kJ/mol of formula units

=====

# Cs2NaPbF6 | the Materials Project | PBE-GGA | optimized geometry
data_Cs2NaPbF6
_space_group_name_H-M_alt 'P 1'
_space_group_IT_number 1
_cell_length_a 6.585
_cell_length_b 6.585
_cell_length_c 6.585
_cell_angle_alpha 60.00
_cell_angle_beta 60.00
_cell_angle_gamma 60.00
loop_
_space_group_symop_operation_xyz
'x,y,z'
loop_
_atom_site_label
_atom_site_fract_x
_atom_site_fract_y
_atom_site_fract_z
Cs1 0.250 0.250 0.250
Cs2 0.750 0.750 0.750
Na1 0.000 0.000 0.000
Pb1 0.500 0.500 0.500
F1 0.255 0.255 0.745
F2 0.255 0.745 0.255
F3 0.255 0.745 0.745
F4 0.745 0.255 0.255
F5 0.745 0.255 0.745
F6 0.745 0.745 0.255
# Symmetry: Fm-3m

---

# TiWC2 | the Materials Project | PBE-GGA | optimized geometry
data_TiWC2
_space_group_name_H-M_alt 'P 1'
_space_group_IT_number 1
_cell_length_a 5.357
_cell_length_b 5.357
_cell_length_c 5.357
_cell_angle_alpha 33.29
_cell_angle_beta 33.29
_cell_angle_gamma 33.29
loop_
_space_group_symop_operation_xyz
'x,y,z'
loop_
_atom_site_label
_atom_site_fract_x
_atom_site_fract_y
_atom_site_fract_z
Ti1 0.000 0.000 0.000
W1 0.500 0.500 0.500
C1 0.251 0.251 0.251
C2 0.749 0.749 0.749
# Symmetry: R-3m

---

Number 1: calculated total energy -43.3 eV/cell, magnetic moment 0.095 μB/atom. Number 2: calculated total energy -40.9 eV/cell, magnetic moment 0.000 μB/atom.

=====

First-principles (PBE) data for a geometry-optimized CsLi2Cl3 structure, as listed in the Materials Project.

Results
space group	Immm (71)
formation energy	-2161.6	meV/atom

a = 7.193 Å, b = 7.193 Å, c = 7.193 Å
α = 143.06°, β = 136.72°, γ = 58.18°
Positions (direct):
Cs  0.000  0.000  0.000
Li  0.309  0.309  0.000